# Material
-- begin --
Record 1
LaZr2Cr: relaxed, PBE.

The structure belongs to space group Imm2 (No. 44); the cell edges are 3.535, 5.102 and 10.147 Å and the angles 90.00°, 90.00° and 90.00°. Symmetry generates all atoms from La at (0.000, 0.000, 0.000), Zr at (0.000, 0.000, 0.577), Zr at (0.000, 0.500, 0.782) and Cr at (0.000, 0.500, 0.270).

Record 2
MgSnHg4: relaxed, PBE.

The structure belongs to space group F-43m (No. 216); the cell edges are 8.507, 8.507 and 8.507 Å and the angles 90.00°, 90.00° and 90.00°. Symmetry generates all atoms from Mg at (0.000, 0.000, 0.000), Sn at (0.250, 0.250, 0.750) and Hg at (0.125, 0.125, 0.375).

Computed uncorrected energy (eV per cell) in order:
-60.42; -24.46
Computed theoretical density (g/cm³) in order:
6.8; 10.2
Computed energy above the most stable polymorph in this dataset (eV/atom) in order:
0.1587; 0.1177

* * * * *

Material: TcWO6
Method: DFT, GGA+U
State: optimized geometry

**Space-group type**: No. 132
**M_tot**: 0.0000 μB per atom
**Total DFT energy (no corrections)**: -57.69 eV/f.u.

Structure (POSCAR):
```
TcWO6
1.0
4.545 0.000 0.000
0.000 4.545 0.000
0.000 0.000 7.936
Tc W O
2 2 12
direct
0.000 0.000 0.000
0.000 0.000 0.500
0.500 0.500 0.250
0.500 0.500 0.750
0.225 0.225 0.163
0.225 0.225 0.837
0.225 0.775 0.337
0.225 0.775 0.663
0.295 0.295 0.500
0.295 0.705 0.000
0.705 0.295 0.000
0.705 0.705 0.500
0.775 0.225 0.337
0.775 0.225 0.663
0.775 0.775 0.163
0.775 0.775 0.837
```
-- stop --
# Request
Your job: echo the lines further up from the first line to the one with "Material: TcWO6" unchanged.
# Completed
Record 1
LaZr2Cr: relaxed, PBE.

The structure belongs to space group Imm2 (No. 44); the cell edges are 3.535, 5.102 and 10.147 Å and the angles 90.00°, 90.00° and 90.00°. Symmetry generates all atoms from La at (0.000, 0.000, 0.000), Zr at (0.000, 0.000, 0.577), Zr at (0.000, 0.500, 0.782) and Cr at (0.000, 0.500, 0.270).

Record 2
MgSnHg4: relaxed, PBE.

The structure belongs to space group F-43m (No. 216); the cell edges are 8.507, 8.507 and 8.507 Å and the angles 90.00°, 90.00° and 90.00°. Symmetry generates all atoms from Mg at (0.000, 0.000, 0.000), Sn at (0.250, 0.250, 0.750) and Hg at (0.125, 0.125, 0.375).

Computed uncorrected energy (eV per cell) in order:
-60.42; -24.46
Computed theoretical density (g/cm³) in order:
6.8; 10.2
Computed energy above the most stable polymorph in this dataset (eV/atom) in order:
0.1587; 0.1177

* * * * *

Material: TcWO6